Directory Lister (64-bit)

最新版本 DBeaver 7.2.3

DBeaver 7.2.3

DBeaver 7.2.3
目錄 Lister 64bit 是一個用於從硬盤,CD-ROM,軟盤,USB 存儲器上的用戶選擇目錄生成文件列表的工具。列表可以是 HTML,TXT 或 CSV 格式。這就像老的指揮,但更方便。安裝目錄列表器,並進行 30 天免費試用!


目錄列表器允許您列出& 打印文件夾的內容,即創建,然後保存,打印或通過電子郵件發送從硬盤上,CD-ROM,DVD-ROM,軟盤,USB 存儲和網絡共享選定的文件夾中的文件列表。列表可以是 HTML,文本,Microsoft Excel,CSV 格式或直接存儲到數據庫中。目錄列表程序是來自各種目錄打印機的最佳應用程序。目錄列表也可以集成到 Windows 資源管理器的上下文菜單中,所以你甚至不需要打開應用程序來生成列表。命令行界面支持從 Windows Task Scheduler 運行的自動化列表.

當您打印文件列表時,可以包括文件名,擴展名,類型,所有者和屬性等標准文件信息以及可執行文件信息( EXE,DLL,OCX)像文件版本,描述,公司。此外,還可以列出音軌,標題,藝術家,專輯,流派,視頻格式,每像素比特率,每秒幀數,音頻格式,每通道比特等多媒體屬性(MP3,AVI,WAV,JPG,GIF,BMP)。您可以打印的另一組列是 Microsoft Office 和 Open Office 文件(DOC,XLS,PPT),因此您可以在不打開這些文件的情況下查看文檔標題,作者,關鍵字等。對於每個文件和文件夾,還可以獲得 CRC32,MD5,SHA-1,SHA-256,SHA-512 和 Whirlpool 哈希碼,以便驗證文件未被修改。

大量選項允許你完全自定義輸出的外觀。您可以設置文件和文件夾的排序方式,以便隨時顯示它們。您可以定義列順序,使最重要的列立即可見。國際顯示格式選項允許您根據當地需要調整輸出。列表可以包含指向實際文件和目錄的鏈接,因此您可以將列表放在具有可點擊內容的網頁上。 HTML 顯示樣式完全自定義 - 您可以更改背景顏色,標題,目錄行,奇數和偶數文件行以及周圍框架的單獨樣式。您可以通過對文件名,日期,大小或屬性應用過濾器來限製文件列表。

[Quantum chemistry results, kept here for reference]
-- begin --
Entry 1:
{
  "formula": "C15H24N3O3ReS2SbSe3Te",
  "method": "wB97M-V/def2-TZVPD",
  "multiplicity": 2,
  "e_tot_ha": -9563.20926,
  "relative_energy_kj_mol": 60.09,
  "orbital_gap_ha": [0.215, 0.215],
  "s_squared": 0.7609,
  "species": ["Re", "Se", "Se", "Te", "Se", "C", "C", "C", "O", "H", "H", "H", "H", "H", "H", "H", "C", "Sb", "C", "C", "H", "H", "H", "H", "H", "H", "H", "H", "H", "N", "C", "C", "C", "C", "C", "C", "S", "O", "O", "N", "C", "S", "C", "C", "N", "H", "H", "H", "H", "H", "H", "H", "H"],
  "positions_angstrom": [[0.77371, 0.11232, -2.05891], [2.28048, 0.53524, -3.86200], [0.90965, 0.73462, -5.75452], [-1.01415, -0.96159, -5.14581], [-0.03933, -1.94343, -3.06024], [1.25040, 2.55358, 1.36280], [1.32039, 1.16639, 0.74718], [0.51380, 0.17251, 1.55994], [0.82337, 1.27972, -0.58362], [1.67894, 2.54356, 2.36678], [0.20972, 2.87544, 1.42882], [1.80044, 3.27102, 0.75461], [2.36973, 0.85762, 0.68968], [-0.51484, 0.51916, 1.64394], [0.93741, 0.07220, 2.56031], [0.48911, -0.81135, 1.09007], [3.81392, -2.51333, -2.67870], [2.74911, -1.54042, -1.12610], [2.19284, -3.21795, 0.05478], [4.39497, -0.81092, 0.01173], [4.40063, -3.33757, -2.27647], [4.47137, -1.79151, -3.15985], [3.09621, -2.88181, -3.40957], [3.04215, -3.89160, 0.15789], [1.36867, -3.74009, -0.42905], [1.87260, -2.88447, 1.03926], [5.20130, -1.54213, -0.02138], [4.10102, -0.64888, 1.04693], [4.73899, 0.12998, -0.41512], [-2.50390, 0.73287, 5.26371], [-2.62049, 0.38138, 3.92819], [-2.39981, -0.93257, 3.51419], [-2.56868, -1.28811, 2.18644], [-2.95387, -0.33524, 1.26094], [-3.18626, 0.97620, 1.66008], [-3.01884, 1.33400, 2.98086], [-3.13329, -0.74543, -0.44276], [-3.01740, -2.17228, -0.54682], [-4.34098, -0.11592, -0.92646], [-1.83973, -0.06283, -1.13290], [-1.95351, 0.92921, -2.00004], [-3.31533, 1.91767, -2.46185], [-2.25976, 2.87942, -3.45438], [-0.99985, 2.42325, -3.41492], [-0.83197, 1.29522, -2.63428], [-1.95018, 0.12292, 5.84079], [-2.36004, 1.70927, 5.45790], [-2.10359, -1.68042, 4.24016], [-2.39493, -2.30279, 1.85380], [-3.49486, 1.71510, 0.92990], [-3.20491, 2.35348, 3.29785], [-2.63436, 3.72168, -4.01018], [-0.14605, 2.83759, -3.92360]],
  "mulliken_charge": [0.43, -0.08, -0.30, -0.02, -0.18, -1.74, 1.01, -0.33, -0.60, 0.42, 0.34, 0.45, -0.23, -0.25, 0.58, 0.01, -1.22, 0.77, -1.30, -1.41, 0.40, 0.38, 0.33, 0.39, 0.41, 0.39, 0.40, 0.41, 0.43, -0.59, 1.08, -0.71, -0.18, -0.42, -0.50, -0.70, 0.98, -0.72, -0.74, 0.03, 0.53, -0.04, -0.40, -0.97, 0.67, 0.21, 0.21, 0.29, 0.54, 0.40, 0.31, 0.43, 0.41]
}

Entry 2:
{
  "formula": "C15H24N4O2S",
  "method": "wB97M-V/def2-TZVPD",
  "e_tot_ha": -1353.71584,
  "relative_energy_kj_mol": 103.21,
  "orbital_gap_ha": 0.342,
  "smiles": "CCCc1nnc(NC(=O)CCC(=O)NC2CCCCC2)s1",
  "species": ["C", "C", "C", "C", "N", "N", "C", "N", "C", "O", "C", "C", "C", "O", "N", "C", "C", "C", "C", "C", "C", "S", "H", "H", "H", "H", "H", "H", "H", "H", "H", "H", "H", "H", "H", "H", "H", "H", "H", "H", "H", "H", "H", "H", "H", "H"],
-- stop --
[Here the page continues]

目錄列表程序 64 位,您還可以找出給定的目錄大小是什麼,按文件夾大小進行排序並檢查哪些文件夾佔用了磁盤上最多的空間。您還可以使用尺寸過濾器選項在 PC 上找到最大的文件.

Windows 10 支持聲明
目錄 Lister 在以下版本的 Windows 10 中受到 KRKsoft 的支持– Windows 10 Pro,Windows 10 Education 和 Windows 10 Enterprise。目錄列表支持 Windows 10 的支持服務的分支機構,包括 - 當前分支機構,當前分支機構以及以下長期服務分支機構 - Windows 10 Enterprise LTSB.

目錄列表程序可在 Windows XP,Windows 2003,Windows 2008,Windows Vista,Windows 7,Windows 8 和 Windows 10 操作系統。它適用於 32 位和 64 位 Windows 版本。

注意:30 天試用版.


檔案版本 DBeaver 7.2.3

檔案名稱 dbeaver-ce-7.2.3-x86_64-setup.exe
系統 Windows 7 / Windows 7 64 / Windows 8 / Windows 8 64 / Windows 10 / Windows 10 64
軟體類型 未分類
作者 KRKsoft
更新日期 2020-10-18

What's new in this version:

Data transfer:
- Data preview was fixed for custom SQL queries
- Binary format mapping was fixed (BLOB->binary)
- Target table name mapping was improved
- Context data context menu item visibility was fixed
- SQL format: extra options were added (including INSERT OR REPLACE support)
- HTML format: additional export options were added
- DbUnit format support was improved

SQL editor:
- "Auto-save on edit" option was added
- Procedures auto-completion was improved (use signature or parameter names depending on context)
- Query cancel on editor close was fixed
- Disable auto-formatting inside comments
- Data viewer: minimum fetch size now limited by 100 rows
- SSH configuration: bug with variables in connection parameters was fixed
- Column reordering UI was fixed

- Serial data types support was improved
- Trigger DDL was fixed
- $$ rule parser was fixed

- Driver was updated to the latest version
- Schemas/tables metadata extraction was fixed
- Error in database switch in transactional mode was fixed

- Zerofill flag support was added
- NULL values of "text" type rendering was fixed

- Expired password change feature was fixed
- Connectivity problem ("ONS configuration failed") was fixed

- SQLite: column drop feature was added
- SQL Server: data read from clustered tables was fixed
- Number of minor bugs were fixed

DBeaver 7.2.3 相關參考資料
DBeaver 7.2.3

Unrelated to this article: calculated molecules:
/*
1.
C45H47Cl3N5OPPt | ωB97M-V/def2-TZVPD

Properties
HOMO (spin up / spin down)	-5.87 / -7.77	eV
spin multiplicity	5
expectation value of S²	6.0811
ΔE to the lowest compared entry with this formula, charge and spin	39.2	kcal per mole

Each line ends with the Mulliken charge.
CARTESIAN COORDINATES (ANGSTROEM)
Pt1 0.09 -1.52 -0.37  1.94
Cl1 -2.22 -3.69 4.79  -0.18
Cl2 -1.04 -2.24 2.53  0.10
Cl3 -3.82 4.62 -2.82  -0.26
P1 -2.57 -1.39 -0.44  0.02
O1 4.28 4.70 1.17  -0.73
N1 1.94 -1.37 -3.20  -0.03
N2 2.12 -1.80 -1.94  0.04
N3 2.93 0.60 2.67  -1.08
N4 1.71 -0.37 1.05  -0.45
N5 3.03 1.30 1.52  1.23
C1 1.08 -5.47 -1.65  0.03
C2 3.01 4.23 3.20  2.32
C3 3.84 2.50 1.41  -3.00
C4 2.44 -5.27 0.76  -0.75
C5 2.05 -6.40 -1.32  -0.89
C6 -1.27 4.86 -1.94  -1.02
C7 -0.24 4.64 -1.04  -0.24
C8 -3.45 -3.99 -0.27  -0.56
C9 2.01 4.16 0.77  -2.29
C10 -5.39 -1.46 -1.00  -0.15
C11 3.17 -2.61 -1.99  -0.50
C12 -0.73 -3.28 3.93  -0.47
C13 -3.44 -5.37 -0.55  -0.94
C14 2.11 -0.38 2.35  -0.53
C15 -2.01 -0.38 -1.84  0.09
C16 3.68 -2.69 -3.30  -1.09
C17 -6.67 -0.93 -0.93  -0.73
C18 -2.66 -3.12 -0.96  -0.08
C19 1.49 -4.33 0.43  0.00
C20 -0.44 3.86 0.09  -0.04
C21 2.60 5.71 3.32  -1.86
C22 -2.11 0.92 -3.85  -0.99
C23 -0.67 -0.02 -1.62  0.39
C24 -2.74 3.51 -0.60  -0.66
C25 3.21 3.88 1.69  1.79
C26 2.86 -1.88 -4.04  -0.24
C27 0.62 3.65 1.15  0.43
C28 -6.92 0.22 -0.18  -0.52
C29 -5.87 0.83 0.49  -0.62
C30 -2.52 4.31 -1.71  0.26
C31 -1.56 -3.63 -1.86  1.40
C32 1.96 3.39 3.95  -1.75
C33 -4.60 0.30 0.42  -0.44
C34 -0.08 0.86 -2.53  -0.79
C35 -2.74 0.09 -2.93  -0.27
C36 4.34 4.04 3.95  -2.09
C37 -4.34 -0.85 -0.32  0.13
C38 0.72 -4.42 -0.77  0.65
C39 -1.86 -5.03 -2.32  -1.04
C40 -0.28 -3.45 -1.02  -0.98
C41 2.31 0.70 0.56  -0.17
C42 -2.69 -5.85 -1.64  -0.59
C43 -0.80 1.32 -3.64  -0.56
C44 -1.69 3.29 0.29  -0.24
C45 2.73 -6.33 -0.10  -0.52
H1 2.86 -1.63 -5.09  0.47
H2 3.41 6.39 3.07  0.50
H3 -0.08 -2.77 4.61  0.37
H4 0.62 -5.52 -2.62  0.31
H5 -6.05 1.73 1.07  0.42
H6 2.11 2.32 3.82  0.29
H7 -1.86 2.65 1.15  0.37
H8 2.07 3.60 5.02  0.58
H9 4.20 2.53 0.38  0.48
H10 4.30 4.58 4.90  0.51
H11 0.92 1.24 -2.37  0.46
H12 -3.78 0.77 0.95  0.50
H13 -1.46 -2.97 -2.73  0.08
H14 0.94 3.64 3.69  0.27
H15 2.28 3.77 -0.22  0.45
H16 0.64 2.60 1.44  0.38
H17 0.72 5.09 -1.24  0.42
H18 4.71 2.38 2.05  0.49
H19 2.25 1.05 -0.46  0.31
H20 -4.07 -6.04 0.02  0.43
H21 -2.65 1.28 -4.72  0.39
H22 0.27 4.20 2.03  0.36
H23 1.29 -3.50 1.10  0.04
H24 -0.33 2.00 -4.33  0.42
H25 2.33 5.92 4.36  0.49
H26 1.17 -0.75 -3.39  0.15
H27 1.81 -1.13 3.06  0.50
H28 -3.71 3.07 -0.44  0.41
H29 -0.29 -4.20 3.56  0.23
H30 -1.36 -5.38 -3.22  0.72
H31 2.30 -7.18 -2.02  0.40
H32 -3.77 -0.19 -3.06  0.50
H33 -2.81 -6.88 -1.96  0.43
H34 5.19 4.41 3.38  0.36
H35 -5.21 -2.35 -1.59  0.41
H36 1.95 5.25 0.66  0.88
H37 4.51 2.99 4.19  0.39
H38 3.50 -3.12 -1.10  0.55
H39 -4.14 -3.61 0.48  0.50
H40 -7.92 0.62 -0.13  0.38
H41 4.53 -3.26 -3.64  0.41
H42 2.99 -5.18 1.69  0.40
H43 -7.48 -1.41 -1.47  0.41
H44 3.47 -7.07 0.16  0.40
*/

DBeaver 7.2.3. Posted on 2020-10-18 by Serge. Data transfer: Data preview was fixed for custom SQL queries; Binary format mapping was fixed (BLOB->binary) ...

DBeaver 7.2.3 Free Download for Windows 10, 8 and 7 ...

10 小時前 — DBeaver is an application that works as a database manager for software developers. Some of the supported databases include MySQL, PostgreSQL, MariaDB, ...

DBeaver 7.2.3 发布-Linuxeden开源社区

17 小時前 — Data transfer: Data preview was fixed for custom SQL queries Binary format mapping was fixed (BLOB->binary) Target table name mapping ...

DBeaver 7.2.3 发布,可视化数据库管理平台- OSCHINA

1 天前 — DBeaver 7.2.3 发布了,更新内容包括: 数据传输: 修复了自定义SQL 查询的数据预览修复了二进制格式映射(BLOB->binary) 目标表名称映射 ...

DBeaver Community | Free Universal Database Tool

DBeaver 7.2.3. October 18th, 2020. Data transfer: Data preview was fixed for custom SQL queries; Binary format mapping was fixed (BLOB->binary); Target table ...

## Next to the piece, the page also holds molecular data
Here is 2 unconnected molecules or ions with the total composition C5H12NO from the Open Molecules 2025 dataset. Energies are from wB97M-V/def2-TZVPD.

Atoms and positions in Å:
C (1.585, 0.849, 0.476)
C (0.302, 1.638, 0.177)
C (1.093, -0.405, 1.142)
C (-0.499, 0.706, -0.759)
C (0.132, -1.234, 0.331)
N (-2.261, -1.603, -1.152)
O (-1.009, -0.323, 0.063)
H (2.177, 0.636, -0.378)
H (2.301, 1.560, 0.986)
H (-0.377, 1.989, 0.944)
H (0.536, 2.540, -0.398)
H (1.884, -1.117, 1.236)
H (0.612, -0.414, 2.156)
H (-1.239, 1.201, -1.238)
H (0.198, 0.347, -1.527)
H (0.538, -1.504, -0.569)
H (-0.245, -2.071, 0.886)
H (-2.659, -0.840, -1.760)
H (-3.072, -1.953, -0.615)

The orbital gap (spin up / spin down) comes out at 9.417 / 7.592 eV. The HOMO energy (spin up / spin down) comes out at -0.56495 / -0.56343 hartree. For the energy above the lowest of the compared OMol25 structures with the same formula, charge and spin, the calculation gives 124.14 kcal per mole. Its net charge is +1.


Here is 2 unconnected molecules or ions with the total composition C5H12NO from the Open Molecules 2025 dataset. Energies are from wB97M-V/def2-TZVPD.

Atoms and positions in Å:
C (-1.870, -0.086, -0.218)
C (-1.035, -1.253, 0.289)
C (-1.143, 1.202, 0.268)
C (0.374, -1.218, -0.364)
C (0.311, 1.211, -0.285)
N (3.180, -0.120, 0.059)
O (0.858, 0.016, 0.221)
H (-2.166, -0.087, -1.266)
H (-2.842, -0.036, 0.480)
H (-1.086, -1.174, 1.434)
H (-1.334, -2.270, 0.047)
H (-1.834, 2.111, 0.087)
H (-0.893, 1.205, 1.408)
H (1.030, -2.044, -0.068)
H (0.352, -1.229, -1.531)
H (0.343, 1.224, -1.393)
H (0.650, 2.306, 0.106)
H (3.441, -0.455, 0.979)
H (3.663, 0.697, -0.254)

The orbital gap (spin up / spin down) comes out at 9.833 / 7.143 eV. The HOMO energy (spin up / spin down) comes out at -0.55026 / -0.55067 hartree. For the energy above the lowest of the compared OMol25 structures with the same formula, charge and spin, the calculation gives 141.57 kcal per mole. Its net charge is +1.


Here is a gas-phase ion, C5H12NO (charge +1) from the Open Molecules 2025 dataset. Energies are from wB97M-V/def2-TZVPD.

Atoms and positions in Å:
C (0.410, 1.213, 0.008)
O (1.786, 0.741, -0.310)
C (-0.565, 0.293, -0.777)
C (-0.717, -1.125, -0.031)
C (-1.045, -0.929, 1.448)
C (-0.161, -1.089, 2.484)
N (0.119, 0.277, -2.142)
H (0.290, 2.271, -0.228)
H (0.189, 1.121, 1.111)
H (2.441, 1.460, -0.172)
H (-1.633, 0.756, -1.063)
H (-1.321, -1.847, -0.634)
H (0.288, -1.452, 0.048)
H (-1.612, -0.057, 1.703)
H (0.270, -2.086, 2.705)
H (0.380, -0.382, 3.218)
H (-0.110, 1.165, -2.629)
H (-0.171, -0.439, -2.712)
H (1.162, 0.107, -2.027)

The orbital gap comes out at 8.867 eV. The HOMO energy comes out at -0.45837 hartree. For the energy above the lowest of the compared OMol25 structures with the same formula, charge and spin, the calculation gives 77.85 kcal per mole. Its net charge is +1. The SMILES is C=CC[C@H]([NH3+])CO.

Download - DBeaver

Community Edition 7.2.3. Released on October 19, 2020 (Milestones). It is free and open source (license). Also you can get it from the GitHub mirror.

Download DBeaver 7.2.3 - Softpedia

What's new in DBeaver 7.2.3: Data transfer: Data preview was fixed for custom SQL queries; Binary format mapping was fixed (BLOB->binary); Target table ...

Index of files7.2.3repository-officeplugins - DBeaver

1 天前 — Index of /files/7.2.3/repository-office/plugins/ ../ org.jkiss.bundle.apache.poi_4.1.1.jar 18-Oct-2020 20:52 15M ...

Index of files7.2.3repository-sshjfeatures - DBeaver

Index of /files/7.2.3/repository-sshj/features/ ../> 18-Oct-2020 20:52 5065.

Releases | DBeaver Community

DBeaver 7.2.3. Posted on 2020-10-18 by Serge. Data transfer: Data preview was fixed for custom SQL queries Binary format mapping was fixed (BLOB->binary) ...